Mon, 30 Mar 2015
Found a place for the engine computer It's actually called the PCM (or sometimes the ECM). I had built a mount for
it to go in the rear of the engine compartment on the passenger side, but I
was never really happy with it. One of the posters on the Jaguar Lumps forum
suggested putting it in the passenger side fender.
So I looked in there, and there is plenty of room. Also, it will be easy to
run the harness from the engine compartment to the passenger compartment to
the fender space.
Now I need to mount the PCM in there, and get to work on the harness adding in
### Misplaced materials data
=====
[1]
The following is a PBE calculation of an optimized crystal structure of SiIrSe2, from Alexandria.

a = 4.507 Å, b = 4.511 Å, c = 4.507 Å
α = 70.87°, β = 69.88°, γ = 109.13°
Positions (direct):
Ir: 0.500 0.500 0.000
Se: 0.000 0.000 0.000
Se: 0.500 0.000 0.500
Si: 0.000 0.500 0.500

Magnetic moment: 0.00 μB per atom
D(E_F): 0.53 states/eV/atom
Space-group type: I4/mmm
E_form (uncorrected): 0.17 eV/atom

=====

[2]
The following is a PBE calculation of an optimized crystal structure of YAg2I, from Alexandria.

a = 8.499 Å, b = 8.499 Å, c = 6.701 Å
α = 50.64°, β = 50.64°, γ = 90.00°
Positions (direct):
I: 0.000 0.000 0.000
I: 0.750 0.250 0.500
Y: 0.500 0.500 0.000
Y: 0.250 0.750 0.500
Ag: 0.626 0.125 0.250
Ag: 0.124 0.625 0.250
Ag: 0.375 0.374 0.750
Ag: 0.875 0.876 0.750

Magnetic moment: 0.00 μB per atom
D(E_F): 0.06 states/eV/atom
Space-group type: I-42d
Polymorph energy (0 for the lowest one): 0.0 kJ per mole of atoms
E_form (uncorrected): -0.15 eV/atom

=====

[3]
The following is a PBE calculation of an optimized crystal structure of PrNd2GaO, from Alexandria.

a = 4.963 Å, b = 4.911 Å, c = 4.911 Å
α = 90.00°, β = 90.00°, γ = 90.00°
Positions (direct):
Pr: 0.500 0.000 0.000
Nd: 0.000 0.000 0.500
Nd: 0.000 0.500 0.000
Ga: 0.500 0.500 0.500
O: 0.000 0.000 0.000

Magnetic moment: 0.00 μB per atom
D(E_F): 0.30 states/eV/atom
Space-group type: P4/mmm
E_form (uncorrected): -1.36 eV/atom

=====

[4]
The following is a PBE calculation of an optimized crystal structure of Pr6Y12Tm, from Alexandria.

a = 8.831 Å, b = 8.831 Å, c = 8.831 Å
α = 99.06°, β = 99.06°, γ = 99.06°
Positions (direct):
Pr: 0.904 0.341 0.904
Pr: 0.904 0.904 0.341
Pr: 0.341 0.904 0.904
Pr: 0.096 0.096 0.659
Pr: 0.096 0.659 0.096
Pr: 0.659 0.096 0.096
Y: 0.757 0.243 0.500
Y: 0.353 0.081 0.353
Y: 0.353 0.353 0.081
Y: 0.919 0.647 0.647
Y: 0.647 0.647 0.919
Y: 0.647 0.919 0.647
Y: 0.500 0.757 0.243
Y: 0.243 0.500 0.757
Y: 0.243 0.757 0.500
Y: 0.500 0.243 0.757
Y: 0.757 0.500 0.243
Y: 0.081 0.353 0.353
Tm: 0.000 0.000 0.000

Magnetic moment: 0.00 μB per atom
D(E_F): 1.73 states/eV/atom
Space-group type: R-3m
ΔH_f (0 K): 0.208 eV/atom
Polymorph energy (0 for the lowest one): 8.4 kJ per mole of atoms

=====

[5]
The following is a PBE calculation of an optimized crystal structure of LiHg2Os, from Alexandria.

a = 5.221 Å, b = 5.221 Å, c = 5.221 Å
α = 134.93°, β = 134.93°, γ = 65.64°
Each line ends with the local moment (μB).
Positions (direct):
Hg: 0.000 0.000 0.000  0.00
Hg: 0.250 0.750 0.500  -0.01
Li: 0.500 0.500 0.000  0.00
Os: 0.750 0.250 0.500  0.72

Magnetic moment: 0.19 μB per atom
D(E_F): 0.55 states/eV/atom
Space-group type: I-4m2
ΔH_f (0 K): 0.531 eV/atom
Polymorph energy (0 for the lowest one): 22.0 kJ per mole of atoms

=====

[6]
The following is a PBE calculation of an optimized crystal structure of Zn2C3, from Alexandria.

a = 2.641 Å, b = 2.641 Å, c = 7.884 Å
α = 90.00°, β = 90.00°, γ = 120.00°
Positions (direct):
Zn: 0.667 0.333 0.202
Zn: 0.333 0.667 0.798
=====
### Here the text continues
the additional pins I want to use.
posted at: 13:59 | permalink |
Thu, 26 Mar 2015
So I got a Suburban last month.
A 1998, which is the body style called GMT400. Supposedly only 69K miles on
it. It's the K2500 model, which means it's 4 wheel drive, with the 3/4 ton
axles. It's big.
Anyway, it has a few small issues to resolve. A new issue popped up last week,
when the starter quit. At first I thought the battery was dead, but after we
tried it a few times the solenoid finally worked, and it fired right up. So I
pulled the starter and took it to Advance Auto, and sure enough their tester
said it was bad.
I couldn't just buy the starter there, because you only get the big discounts
if you buy online and then pick up in the store. So I went back home, found a
coupon for 40% off the $119 price, and bought it. The nice thing about online
purchase, besides the discount, is that when you go back in they have the
part(s) all picked out and waiting for you. And when I went back it was in
fact waiting for me. The counter lady pointed out that the new one didn't have
the heat shield, so I took my old one home with me to swap it over, rather
than turning it in then for the core charge.
So I got home, started to swap over the heat shield, and found that the bosses
on the new starter for the heat shield screws were not tapped. I thought about
going back to the parts store to see if maybe they had one that was tapped,
but instead I got out the taps and did it myself. I had the heat shield on and
the new starter mounted in about 20 minutes. Now it fires right up! posted at: 15:47 | permalink |
More progess on the Jaguar It has been sitting for around a year since I wrenched on it, but I now have
regular access to the garage where it sits. I have been getting the garage
back in shape, and evaluating the Jaguar. I hooked up the battery and tried
starting it, but all I got was a strong smell of smoke and burning, so I
I finally decided that I wasn't happy with the old harness. It is the orignal
1996 Caprice harness that I paid to have modified, which worked okay, but then
I wanted to relocate the PCM, so I did a bunch more changes to it to lengthen
and shorten various wires, and then I stopped working on it. So I'm not really
sure what state it's in, and it's got many many solder splices in it, and I
just wanted to start over.
So I ordered a LT1 harness from PSI. This is the photo from their website.
Looks pretty good, huh?
I pulled the old harness off the engine. I still need a couple of connectors
and PCM pins from it. And you can see the uncovered engine, and the new
posted at: 15:32 | permalink |
Thu, 27 Mar 2014
I scanned in the old Hurricane Hash patch. Highbush and Garfield had these made up back in the day, and I had mine sewn
on a hash bag for years. When the bag finally failed I cut the patch off and
saved it, and now that we have happy coats it will live again!
posted at: 10:17 | permalink |
Sun, 14 Jul 2013
I am getting close to solving my transmission cooler leak. It has been perplexing. I put a 4l60E from a 1996 Caprice police car into a
Jaguar XJS. Then I added transmission cooler lines from fourth gen Firebird.
Now I must be remembering this wrong, but the fourth gen cooler lines would
not fit the transmission, so I removed what I assumed were adapters from
the transmission case and screwed the cooler lines directly into the trans case.
A year or so later when I fired up the engine, the cooler lines leaked
profusely at the case. After much internet research I figured out that the
cooler lines used flare nut fittings, while the case has straight pipe
threads. So I ordered these Be Cool fittings, which adapt between the two.
The leak is now much reduced, but there are still drips. More internet
research tells me that I need a copper crush washer between the hardline
fitting and the adapter. Hopefully that will end the leak. Unless of course
I cracked the case when I screwed the fittings in directly. But I don't think
posted at: 00:00 | permalink |
Fri, 12 Jul 2013
We put a new floor in Morag's house Me and Mike, I mean. Mike was the skilled labor, and I was the labor. Morag
already had hardwood floors, but they were so damaged from termites, water,
and age that there was no point in refinishing them. So we just laid down new
wood over the old floors. It took
about five days to do 850 square feet. But that includes losing most of the
first day trying to get the nailer to work. Once we finished that we were off
to the races. We put down Australian cypress. Looks great. Now we will see how
it holds up.
posted at: 00:00 | permalink |
Thu, 11 Jul 2013
We chopped a hole through Morag's wall. Actually Mike did the work and we watched. Morag lives in a duplex, but once
the tenant moved out we decided to make it one big house, so that I could move
# Records of crystals, kept here for reference
VASP calculation (PBE) on a geometry-optimized FeTe2W structure.

* total moment: 4.22 μB/cell
* final energy: -6.52 eV/atom
* excess energy over the best structure of this formula in the dataset: 0.436 eV per atom
* formation energy (no corrections): 0.400 eV/atom

abc: 3.581 3.677 14.665
angles: 90.00 90.00 90.00
Fractional positions:
Fe: 0.000 0.000 0.000
Fe: 0.500 0.500 0.500
Te: 0.000 0.000 0.451
Te: 0.000 0.500 0.700
Te: 0.500 0.000 0.200
Te: 0.500 0.500 0.951
W: 0.000 0.500 0.109
W: 0.500 0.000 0.609


No. 1
Here is a relaxed La6HN5 crystal from the Alexandria database. Energies are from PBE.

## Properties
The symmetry is C2/m. The spin magnetization is 0.00 μB per atom. Its total DFT energy (no corrections) is -89.31 eV per cell.

Cell: 6.492 6.492 6.480 Å, 99.73 99.73 119.98°
Atoms (fractional coordinates):
1 La 0.432 0.084 0.254
2 La 0.916 0.568 0.746
3 La 0.264 0.264 0.739
4 La 0.736 0.736 0.261
5 La 0.084 0.432 0.254
6 La 0.568 0.916 0.746
7 H 0.000 0.000 0.000
8 N 0.826 0.174 0.500
9 N 0.665 0.335 0.000
10 N 0.500 0.500 0.500
11 N 0.335 0.665 0.000
12 N 0.174 0.826 0.500

---

No. 2
Here is a relaxed La6H2N3 crystal from the Alexandria database. Energies are from PBE.

## Properties
The symmetry is C2/m. The spin magnetization is 0.06 μB per atom. Its total DFT energy (no corrections) is -71.27 eV per cell.

Cell: 6.420 6.424 6.677 Å, 80.79 71.32 60.02°
Atoms (fractional coordinates):
1 La 0.407 0.664 0.778
2 La 0.743 0.000 0.778
3 La 0.071 0.336 0.778
4 La 0.257 0.000 0.222
5 La 0.593 0.336 0.222
6 La 0.929 0.664 0.222
7 H 0.168 0.665 0.500
8 H 0.832 0.335 0.500
9 N 0.000 0.000 0.000
10 N 0.335 0.331 0.000
11 N 0.665 0.669 0.000

---

No. 3
Here is a relaxed NaLaH2N crystal from the Alexandria database. Energies are from PBE.

## Properties
The symmetry is P4/mmm. The spin magnetization is 0.20 μB per atom. Its total DFT energy (no corrections) is -21.64 eV per cell.

Cell: 3.823 4.541 3.823 Å, 90.00 90.00 90.00°
Site moments in Bohr magnetons follow the coordinates.
Atoms (fractional coordinates):
1 Na 0.000 0.000 0.000  0.01
2 N 0.000 0.500 0.000  0.55
3 H 0.000 0.000 0.500  0.07
4 H 0.500 0.000 0.000  0.03
5 La 0.500 0.500 0.500  -0.02

---

No. 4
Here is a relaxed LaNbHN2 crystal from the Alexandria database. Energies are from PBE.

## Properties
The symmetry is P4/mmm. The spin magnetization is 0.00 μB per atom. Its total DFT energy (no corrections) is -39.91 eV per cell.

Cell: 4.173 4.173 3.701 Å, 90.00 90.00 90.00°
Atoms (fractional coordinates):
1 H 0.000 0.000 0.500
2 Nb 0.000 0.000 0.000
3 N 0.000 0.500 0.000
4 N 0.500 0.000 0.000
5 La 0.500 0.500 0.500

---

No. 5
Here is a relaxed LaNiH2N crystal from the Alexandria database. Energies are from PBE.

## Properties
The symmetry is P4/mmm. The spin magnetization is 0.00 μB per atom. Its total DFT energy (no corrections) is -28.72 eV per cell.

Cell: 3.606 3.606 3.980 Å, 90.00 90.00 90.00°
Atoms (fractional coordinates):
1 Ni 0.000 0.000 0.000
2 N 0.000 0.000 0.500
in with her. We had talked about it for quite a while, so we were ready to
execute. The duplex had a one bedroom on one side, and an efficiency on the
other. After putting in a doorway we now live in a one-bedrrom two-bathroom
two-kitchen house. Sorry, no after photos yet.
posted at: 00:00 | permalink |
Thu, 18 Apr 2013
Apparently Jeep changed the Grand Cherokee oil pressure sensor in 2003. It's the same 4.7 HO engine, but they cheaped out on the sensor. The previous
sensor actually sensed the pressure, and the gauge displayed the true oil
pressure. But in 2003 they changed to an on/off sensor. If the oil pressure is
high enough the switch is on (or maybe off), and if the oil pressure is too
low, the switch is off (or maybe on). The computer gets the on/off signal, and
it controls the oil pressure gauge stepper motor so it looks like it is
Here the piece breaks off for materials data:
........
Below is a geometry-optimized ErAgAu structure, with properties calculated at the PBE-GGA level.

Output
The density of states at the Fermi level comes out at 1.1 states/eV per cell. The value obtained for the energy relative to the elements is -0.629 eV per atom. Its space-group type is I4mm (107).

a b c (Å): 5.254 5.254 5.254
angles (deg): 138.63 138.63 59.94
Sites, in units of the cell vectors:
Er 0.000 0.000 0.000
Ag 0.673 0.673 0.000
Au 0.340 0.340 0.000

~~~~~

Entry 1:
Sr2Ga4Cu3Ag: relaxed, GGA-PBE.

Lattice parameters (Å, degrees): 4.3466 4.3466 10.6341 90.00 90.00 90.00
Closest atoms and distances in Å follow each position.
Space group P-4m2 (No. 115)
One atom of each set of equivalent atoms:
1 Sr 0.0000 0.5000 0.2446 [2 per cell]  6 Cu 3.32-3.48, 8 Ga 3.33-3.39, 2 Ag 3.48
2 Ga 0.0000 0.0000 0.0000 [1 per cell]  4 Cu 2.55
3 Ga 0.0000 0.5000 0.6360 [2 per cell]  3 Cu 2.53-2.61, 2 Ag 2.61
4 Ga 0.5000 0.5000 0.0000 [1 per cell]  4 Cu 2.55
5 Cu 0.0000 0.5000 0.8740 [2 per cell]  5 Ga 2.53-2.55
6 Cu 0.5000 0.5000 0.5000 [1 per cell]  4 Ga 2.61
7 Ag 0.0000 0.0000 0.5000 [1 per cell]  4 Ga 2.61

Computed properties:
formation enthalpy at 0 K: -291 meV per atom
uncorrected energy: -3.3517 eV per atom



Entry 2:
ZnBrF3: relaxed, GGA-PBE.

Lattice parameters (Å, degrees): 4.5026 4.5026 4.5026 90.00 90.00 90.00
Closest atoms and distances in Å follow each position.
Space group Pm-3m (No. 221)
One atom of each set of equivalent atoms:
1 Zn 0.0000 0.0000 0.0000 [1 per cell]  12 F 3.18
2 Br 0.5000 0.5000 0.5000 [1 per cell]  6 F 2.25
3 F 0.0000 0.5000 0.5000 [3 per cell]  2 Br 2.25

Computed properties:
raw formation energy: -0.379 eV/atom
uncorrected energy: -2.0913 eV per atom



Entry 3:
Ag2TeIr: relaxed, GGA-PBE.

Lattice parameters (Å, degrees): 3.7858 4.5863 8.9455 90.00 90.00 90.00
Closest atoms and distances in Å follow each position.
Space group Imm2 (No. 44)
One atom of each set of equivalent atoms:
1 Ag 0.0000 0.0000 0.0000 [2 per cell]  4 Ir 2.91-3.22, 4 Te 3.02, 4 Ag 3.04-3.12
2 Ag 0.0000 0.5000 0.2230 [2 per cell]  4 Ir 2.98, 4 Te 3.03-3.13, 4 Ag 3.04-3.12
3 Te 0.0000 0.0000 0.4438 [2 per cell]  2 Ir 2.58
4 Ir 0.0000 0.5000 0.7472 [2 per cell]  2 Te 2.58

Computed properties:
raw formation energy: 0.340 eV/atom
uncorrected energy: -4.0867 eV per atom
........
sweeping up and down. But really the oil pressure always read just over half,
or zero.
I found this out when I ordered the wrong ($50) sensor and installed it. The
connector wouldn't fit. You can see that the original sensor has three pins,
because it actually sends the correct pressure, and the new sensor only has
one pin, since it's just on/off. At least the correct sensor is only $6, and
I was able to sell the wrong sensor on eBay for about 2/3 what I paid for it.
posted at: 00:00 | permalink |
Wed, 10 Apr 2013
I made my own brake bleeder. It's just a pickle jar, plus some vacuum tubing and a MityVac hand vacuum
pump. I replaced the whole brake system on the Jaguar (calipers, master
cylinder, hoses, lines, reservoir) and I needed to bleed it. With this setup
I can just suck brake fluid at each wheel until all the air is out.
posted at: 00:00 | permalink |
Tue, 09 Apr 2013
I rebuilt my first master cylinder. I had bought a whole used braking system from a 1986 Jaguar XJS on eBay. I got
the pedal, booster, reservoir, and master cylinder. The seller swore the
master cylinder was in good shape. When I got everything installed I only had
a couple inches of pedal travel. So I ordered a master cylinder rebuild kit.
It was pretty simple to get the cylinder apart, although one of the pistons
was stuck in the bore. I had to use compressed air to get it out. And the
master cylinder was filled with black goo instead of clean brake fluid.
Anyway, I was able to remove, disassemble, rebuild, and replace it all in a
one hour lunch.
posted at: 00:00 | permalink |
Fri, 22 Mar 2013
There is progress on the Jaguar It's been a while since I updated this blog, but I have been making progress
on the Jaguar in fits and starts. The engine is in, and is running, or was
until I pulled the computer out to change the wiring harness. Currently I am
working on the brakes. The 1991 XJS came with a complex ABS setup, which has
an electric motor and hydraulic pump and pressure accumulator and a dedicated
computer. After reading over the procedures in the manual for maintaining it
I decided to replace it with a traditional braking system from an earlier
year. I bought the master cylinder and booster and pedal off eBay, and got
the front brake lines from a parts car in Pompano, and got new calipers from
Rock Auto. It took a while to piece it all together, but later night I finally
got it all in. I still have to mount the vacuum tank and get a check valve.
Next week I will add fluid and see if I can get a firm pedal. I will post
One of the (many, many) reasons I haven't been updating the Jaguar portion of
the site is that it was too difficult to update the pages which were
originally created with DreamWeaver. I do all of the updates with vi and
blosxom. I'm still looking for a better way, like WordPress, but for now it's
still blosxom. posted at: 10:12 | permalink |
Mon, 14 Sep 2009
The Caprice has gone to live on a farm. I'm sure it will be very happy there.
posted at: 21:59 | permalink |
Wed, 27 May 2009
Tom's gone. He's off to greener pastures. But I found these pictures of him in my phone.
The first one is still my phone wallpaper. It's Tom in full Tommy Boy mode.
The second is him looking like that big guy from the Stargate show who has
the half dollar glued to his forehead.
 posted at: 23:07 | permalink |
I put passenger pegs back on the bike. Darthane from the badweather bikers forum gave me a set for the cost of
shipping. What a great guy! I'm looking forward to riding with a passenger.
I don't know if you can tell, but I used my camera phone, because that's all I
 posted at: 00:00 | permalink |
Sun, 03 May 2009
I have a new project I'm going to mate a Jaguar XJS with a Chevrolet Caprice. The end result will
be a Jaguar with an LT1 engine. Read all about it on the
Jaguar Project Pages.
Linda made them.
Oh yeah, this is the first update in like a year and a half. posted at: 22:24 | permalink |
Sun, 09 Sep 2007
I got some more house pictures. I was supposed to meet Chris there to do some measurements, but he couldn't
make it, so I just wandered around taking pictures and looking at
possibilities. His guys cleaned out the pole barn today, and found this
riding mower. It's never been run. It isn't even completely assembled.
Here you can see the two-car garage, with attached apartment. The garage is
of course what has my interest. It even comes with a compressor (may require
some small maintenance).
It's got well water. There's city water also, but the well water will help
to irrigate the yard into an oasis.
The apartment is attached to the garage. It's a 1/1. It's covered with that
T1-11 siding (or however you spell it), but the siding seems to be in good
shape. There's no interior shots because all of the doors and windows are
boarded up to keep out the homeless.
The town hall is directly behind the garage and apartment. Do you think they'll
notice if we don't pull permits? Apparently they are just happy that someone
is finally cleaning up the place after fifteen years. There's a nice ball
field next to the town hall.
The pole barn is almost certainly coming down. Actually, there's no almost
about it. What hasn't rotted has been eaten by termites. It's rustic, in
a filthy, trash-strewn sort of way.
Here's two shots of the complete garage/aparment structure, with the pole barn
gleaming next to it. You can see the vast expanse of yard. You may say
rutted, weed-covered dust bowl, but I say... go-cart track. There's also
the start of a nice tire collection piled up next to the fence.
Here's the house from the rear, and the front. I think it's got curb
appeal, don't you?
posted at: 20:35 | permalink |
Sat, 08 Sep 2007
We may be moving to a new house. We're excited. Our friend Chris will do the work. It's
going to be great, once we get the homeless out of there. Although if they're
living in the home, they're not really homeless, are they?
Here's some interior shots. That's Chris all blurry in the first one. The
house is filled with stuff.
posted at: 22:11 | permalink |
I guess we know that Suntrust Bank is using XP for their ATMs I went to get some money out, and was faced with the XP login screen. At
least it wasn't the Blue Screen Of Death.
(I don't know what that stuff at the top of the ATM screen is. I didn't see
it when I looked at the ATM.)
posted at: 16:32 | permalink |
Wed, 05 Sep 2007
Here's some more shots of the house. These are actually from the first time we saw the house. It was just a quick
look, in the rain.
Chris walked around the property with us, while we all threw out ideas for
what we could do with it.
I think the first thing we are going to do is cut the grass.
posted at: 23:22 | permalink |
Mon, 04 Jun 2007
We went to the Love Doctors bowling charity thing last Friday. We were there to support our friends TJ and Christy. It was okay, but we
left after the fifth time the power went out. Hmm, I notice that they're
both drinking beer in their pictures. And Christy has some weird blue
Negative Zone thing going on with her eyes.
posted at: 07:11 | permalink |